Assessor: Grota Appraisals, LLC
Address: N88W16573 Main Street, Menomonee Falls, Wisconsin 53051
Phone Number: 262-253-1142
Fax Number: 262-253-4098
Attorney: Tim Lindau
Nowlan Law, LLP
100 S Main Street
Janesville, WI 53545
Mailing Address: P.O. BOX 8100, Janesville, Wisconsin 53547
(Unrelated to this entry: molecular data)
Here is a 2-piece molecular cluster, C24H39I2N3O5P3S overall in a non-equilibrium geometry from the Open Molecules 2025 dataset. Energies are from the ωB97M-V functional and the def2-TZVPD basis.

## Properties
HOMO = -10.07 eV
energy = -95121.9937 eV
LUMO energy = -4.75 eV
total charge = +1
orbital gap = 5.324 eV

```
77
Properties=species:S:1:pos:R:3:forces:R:3
C -0.537 -5.521 0.509 0.1 1.2 0.5
C -0.575 -4.003 0.044 0.5 -0.7 -0.5
I -2.122 -3.740 -1.497 -0.6 -0.7 1.2
C 0.881 -3.584 -0.564 -1.0 -0.1 0.7
I 0.671 -2.474 -2.453 1.8 0.0 0.3
C 1.687 -2.782 0.500 1.1 1.1 1.2
C 1.115 -1.481 0.966 1.3 0.0 1.4
C -0.184 -0.810 0.467 0.5 0.4 -0.5
C 0.180 0.455 -0.463 -0.4 -0.3 -0.2
C -0.760 1.694 -0.229 0.7 0.8 -0.9
N -0.852 2.382 -1.556 -1.1 -0.1 0.3
C -1.930 1.762 -2.381 0.3 -0.3 -1.4
C -1.423 1.534 -3.858 0.9 -0.5 -2.0
C -0.460 2.473 -4.493 -1.1 -1.9 -0.8
C -0.014 2.293 -5.872 -0.9 -0.9 0.3
C -0.468 1.173 -6.732 -1.1 0.5 3.6
C -1.401 0.232 -6.097 1.1 2.0 0.5
C -1.862 0.420 -4.699 1.0 0.9 -1.3
O -2.784 -0.534 -4.225 0.5 1.0 -0.7
C 1.879 -0.747 2.018 1.7 -2.4 -0.9
P 1.215 0.875 2.706 -2.0 0.1 -0.3
C 1.124 0.762 4.598 1.8 -0.2 0.2
C 2.261 2.338 2.190 0.6 0.3 0.7
C 3.145 -1.316 2.503 -1.8 1.4 -0.1
N 3.853 -0.533 3.488 -0.1 -1.3 -1.1
N 3.679 -2.549 2.060 -1.6 1.3 -1.5
P 5.166 -2.986 2.866 3.2 0.1 6.0
O 4.881 -3.056 4.330 -0.6 0.1 -2.1
O 5.883 -4.385 2.443 -0.6 2.1 -1.2
O 6.315 -1.793 2.689 -1.4 -1.7 -1.0
C 2.969 -3.240 1.067 -2.1 0.9 -1.7
P 3.654 -4.845 0.397 0.7 -1.9 1.1
S 3.374 -6.344 1.623 -0.1 0.8 -0.3
H -0.056 -5.513 1.533 -0.4 -0.3 -1.1
H -1.588 -5.884 0.622 1.0 0.1 -0.2
H 0.081 -6.145 -0.189 -0.8 0.5 0.6
H -0.885 -3.344 0.889 0.3 -0.5 -0.8
H 1.333 -4.553 -0.875 -0.2 1.1 0.4
H -0.751 -0.405 1.345 0.6 -0.5 -0.6
H -0.851 -1.455 -0.153 0.7 0.3 0.7
H 0.035 0.145 -1.538 0.2 0.3 1.2
H 1.268 0.731 -0.377 -1.1 -0.1 0.0
H -0.256 2.438 0.450 -0.8 -0.9 -0.3
H -1.809 1.442 0.080 1.1 -0.1 0.4
H -1.156 3.351 -1.431 0.3 -0.4 0.3
H -2.837 2.420 -2.447 0.8 -0.6 0.3
H -2.257 0.787 -1.925 0.3 0.8 -0.6
H -0.111 3.321 -3.850 -0.2 -0.9 -0.9
H 0.694 3.043 -6.309 -0.8 -0.8 0.5
H -0.119 1.085 -7.783 -0.4 0.0 1.0
H -1.781 -0.619 -6.711 0.3 0.7 0.8
H -3.267 -0.823 -5.024 0.3 0.0 0.7
H 0.401 1.503 5.023 0.5 -0.7 -0.7
H 0.881 -0.286 4.939 0.0 1.1 -0.5
H 2.145 0.991 5.019 -1.1 -0.1 -0.1
H 2.448 2.352 1.086 -0.1 -0.2 1.0
H 1.658 3.263 2.432 0.5 -1.1 -0.2
H 3.224 2.434 2.768 -0.7 0.0 -0.7
H 3.887 0.443 3.193 -0.3 -0.3 0.2
H 3.434 -0.653 4.412 0.4 0.0 -0.3
H 6.858 -4.248 2.471 -0.6 -0.1 -0.1
H 6.390 -1.354 3.564 -0.4 -0.3 -0.5
H 5.050 -4.595 0.156 -0.9 0.4 -0.2
H 3.128 -5.237 -0.859 0.2 1.1 0.1
C -5.183 3.913 1.556 0.2 0.0 0.3
C -5.578 4.956 0.528 -0.3 0.0 -0.2
C -4.427 4.878 -0.458 0.2 0.1 -0.1
O -3.951 3.523 -0.432 -0.1 0.1 0.2
C -4.539 2.847 0.688 -0.1 -0.2 -0.2
H -6.021 3.535 2.142 0.0 0.0 0.0
H -4.444 4.332 2.245 0.0 0.0 0.0
H -6.511 4.661 0.039 0.0 0.1 0.0
H -5.713 5.955 0.945 0.0 0.0 0.0
H -3.601 5.531 -0.159 -0.1 0.1 0.0
H -4.727 5.140 -1.474 0.1 -0.1 0.0
Phone Number: 608-755-8100
Fax Number: 608-755-8110
100 S Main Street
Janesville, WI 53545
Mailing Address: P.O. BOX 8100, Janesville, Wisconsin 53547
Phone Number: 608-755-8100
Fax Number: 608-755-8110
Board of Adjustment
The Board of Adjustment shall have the following powers: (1) Errors. To hear and decide appeals where it is alleged there is error in any order, requirement, decision, or determination made by the Building Inspector, the Zoning Officer or by the Planning & Zoning Committee or its delegates in the enforcement of codes, regulations or ordinances under their jurisdiction. (2) Variances. To hear and grant applications for variances as will not be contrary to the public interest, where, owing to special conditions, a literal enforcement will result in practical difficulty or unnecessary hardship, so that the spirit and purposes of the Ordinance shall be observed and the public safety, welfare, and justice secured. Use variances shall not be granted, nor shall a variance be granted where the conditions exist as a result of a self-imposed hardship. (3) Interpretations. To hear and decide applications for interpretations of the codes, regulations, ordinances and the boundaries of the zoning districts after the Planning & Zoning Committee has made a review and recommendations. (4) Permits. The Board may reverse, affirm wholly or partly, modify the requirements appealed from, and may direct the issuance of a permit. (5) Assistance. The Board may request assistance from other town and county officials, departments, commissions, and boards. (6) Oaths. The Chairman, or in his absence the Acting Chairman, shall administer oaths and may compel the attendance of witnesses.
Board of Review
The Town of Rock Board of Review is made up of the Town Board members and the Assessor. Each Spring, there will be an Open Book held, to be followed by the Board of Review Hearings. Please see the Town Calendar for more information, once made available.
Rock Town Cemetery/Afton Cemetery
4303 West Cemetery Road
Janesville, WI 53548
Janesville, WI 53548
Clerk/Treasurer's Office
Address: 5102 S County Road D, Afton, Wisconsin 53501
Mailing Address: PO BOX 25, Afton, Wisconsin 53501
The Clerk's Office is open by appointment only.
The Town of Rock Elected Constable is Judy Thostenson.
Garbage/Recycle Pick Up: Waste Management
Address: 2301 W BR Townline Rd, Beloit, Wisconsin 53511
Phone Number: 608-473-0457
Services: Please leave a message at this number, an email message will be generated to Waste Management
If you need a new trash or recycling bin, or had a missed pickup, please contact the Town's Recycling Coordinator.
Building, Plumbing, and Electrical Inspector
**Attached: calculated molecules**
/*
18
Properties=species:S:1:pos:R:3:forces:R:3 method="wB97M-V/def2-TZVPD" e_lumo_ha=0.0390 smiles="C[C@]12C[C@H]1CC=NN2" de_lowest_kj_mol=220.5 e_tot_ha=-344.0527 max_force_ha_per_bohr=0.04603 homo_lumo_gap_ev=9.225
C -1.023594 -0.218545 1.889608 1.5 -1.8 0.2
C -0.127623 -0.183360 0.664647 -1.0 0.8 1.1
C 0.978788 0.799447 0.600062 1.0 1.5 0.9
C -0.270086 0.977253 -0.255667 1.1 -1.2 -0.7
C -0.208151 0.517250 -1.690190 0.8 1.0 -1.5
C 0.910709 -0.482442 -1.838635 -1.0 -1.2 0.2
N 0.896085 -1.461903 -1.013396 1.2 -0.4 -1.1
N 0.009496 -1.434065 0.016553 -0.4 0.0 -1.4
H -1.334830 0.755413 2.157558 -0.1 1.0 0.5
H -1.901059 -0.796805 1.660388 -0.5 -0.3 -0.1
H -0.488545 -0.740464 2.741433 -0.6 0.7 -0.7
H 1.043348 1.477186 1.494910 0.2 -0.8 -1.0
H 1.960057 0.540834 0.109652 -1.3 0.4 0.7
H -1.026208 1.687251 -0.086191 -0.6 1.0 0.6
H -0.146254 1.322232 -2.454760 0.3 -0.1 0.7
H -1.163825 0.053446 -1.924727 -0.1 -0.5 0.0
H 1.644360 -0.614512 -2.652977 -0.6 0.6 0.4
H 0.247334 -2.198214 0.581733 0.2 -0.9 1.3

61
Properties=species:S:1:pos:R:3:forces:R:3 method="wB97M-V/def2-TZVPD" e_lumo_ha="0.1495 / 0.1498" total_charge=-2 de_lowest_kj_mol=221.2 multiplicity=5 e_tot_ha=-12385.4636 max_force_ha_per_bohr=0.15193 homo_lumo_gap_ev="4.335 / 4.617"
Fe 1.329678 -0.803565 1.286561 -2.9 -4.0 -6.1
Se 2.305193 4.460443 3.607805 -0.6 0.3 -0.3
Sb 2.944824 2.155931 4.071216 1.2 2.4 2.5
Se 1.978052 0.417405 2.631405 1.9 4.2 4.7
Se 1.244065 -2.445073 2.611694 -0.1 -2.5 1.6
Se 5.355722 2.400842 3.844163 0.7 -0.5 -0.3
C 0.799083 -1.830341 -0.460444 -0.7 0.4 -1.1
Si -0.860635 -1.097020 -0.890650 0.9 -0.3 0.8
C -1.768435 -0.623239 0.754105 -0.1 -0.2 -0.3
N -0.900667 0.210227 1.595021 -0.1 0.0 0.0
C -0.774885 1.588036 1.064139 0.5 0.2 -0.4
C -0.889906 2.653620 2.142658 0.0 -0.3 -0.1
C -2.256847 2.553866 2.807065 0.0 0.1 0.0
C -2.508819 1.127062 3.326669 0.0 -0.2 -0.2
C -1.316519 0.228960 3.008414 0.2 -0.3 0.4
C -1.875309 -2.353273 -1.857518 0.0 0.4 0.1
C -1.808391 -2.363262 -3.245053 -0.1 0.1 -0.2
C -2.397533 -3.373301 -3.982445 0.0 0.0 -0.2
C -3.048397 -4.410897 -3.335756 -0.1 -0.2 -0.1
C -3.101426 -4.432492 -1.951589 -0.1 -0.1 0.0
C -2.514596 -3.410958 -1.226868 -0.2 0.0 0.2
C -0.739297 0.474627 -1.943347 -0.1 -0.5 0.0
C -1.841970 0.895503 -2.678978 -0.1 0.0 0.1
C -1.791688 2.042897 -3.447919 -0.2 0.2 -0.2
C -0.630886 2.796362 -3.488740 0.0 0.2 -0.1
C 0.475093 2.397038 -2.759728 0.0 0.1 0.0
C 0.418554 1.239365 -2.006571 0.3 -0.1 0.1
H 1.541385 -1.704815 -1.271255 -0.3 0.2 0.2
H 0.714865 -2.914555 -0.291693 -0.1 0.4 0.2
H -1.980239 -1.536832 1.324676 0.1 0.0 -0.2
H -2.736557 -0.120757 0.583328 0.0 -0.1 -0.1
H -1.547834 1.755574 0.299369 0.0 0.0 0.1
H 0.199414 1.681000 0.548403 -0.4 0.1 0.3
H -0.757876 3.637998 1.694155 0.1 0.0 0.0
H -0.081207 2.528682 2.869426 -0.1 0.2 -0.1
H -3.023894 2.817157 2.069417 0.0 0.1 0.1
H -2.302990 3.282405 3.615699 -0.1 0.1 0.1
H -3.427206 0.711841 2.897020 0.0 0.0 0.0
H -2.627858 1.122292 4.412861 -0.1 0.0 0.0
*/
Residential: Tim Kienbaum
Commercial: Bill Kienbaum
Address: RETURN PERMITS TO: 1545 Kellogg Ave, Janesville, WI 53546
Phone Number: 608-295-2765
Services: You may print a copy of the building permit application online, by clicking here.
Duties: Building Inspector [Revised by Ord. No. 2004-03 adopted 5/3/2004.] (1) It shall be the duty of the Building Inspector to administer, supervise and literally enforce the provisions of the Town of Rock Building Code. (2) The Building Inspector shall prepare building permit forms, assist any applicant in preparing any building permit application, advise the applicant as to the provisions of the Town Building Code, inspect each project for which a permit has been applied for or granted, report violations, and provide information to the Planning and Zoning Committee. The Building Inspector may issue Building Permits which are in strict compliance with the requirements of the Building Code and this Zoning Ordinance provided, however, that if a Zoning Permit is required, no Building Permit shall be issued by the Building Inspector until following the issuance of a Zoning Permit by the Zoning Officer. Whenever there is a question as to the literal requirements of the Building Code and/or this Ordinance, such question is to be brought by the Building Inspector directly to the Planning & Zoning Committee for its consideration.
Commercial: Bill Kienbaum
Address: RETURN PERMITS TO: 1545 Kellogg Ave, Janesville, WI 53546
Phone Number: 608-295-2765
Services: You may print a copy of the building permit application online, by clicking here.
Duties: Building Inspector [Revised by Ord. No. 2004-03 adopted 5/3/2004.] (1) It shall be the duty of the Building Inspector to administer, supervise and literally enforce the provisions of the Town of Rock Building Code. (2) The Building Inspector shall prepare building permit forms, assist any applicant in preparing any building permit application, advise the applicant as to the provisions of the Town Building Code, inspect each project for which a permit has been applied for or granted, report violations, and provide information to the Planning and Zoning Committee. The Building Inspector may issue Building Permits which are in strict compliance with the requirements of the Building Code and this Zoning Ordinance provided, however, that if a Zoning Permit is required, no Building Permit shall be issued by the Building Inspector until following the issuance of a Zoning Permit by the Zoning Officer. Whenever there is a question as to the literal requirements of the Building Code and/or this Ordinance, such question is to be brought by the Building Inspector directly to the Planning & Zoning Committee for its consideration.
Town of Rock Schedule of Building Permit Fees
Building Permit
Residential Buildings - Base Fee $750 (includes 2,500 SF of total area)
$0.15/SF (all remaining building areas)
Commercial Buildings- $0.15/SF, $200 minimum
Accessory Buildings- $0.10/SF, $100 minimum
Agricultural Buildings- $0.06/SF, $100 minimum
Electrical Permit Fees
Miscellaneous Wiring- $0.06/SF All areas, $100 minimum
Electrical Service- $100
HVAC Permit Fees
$0.06/SF All areas, $100 minimum
Plumbing Fees
$0.06/SF All areas, $100 minimum
Demolition Permit
Reinspection Fee
Planning and Zoning Committee
Address: 5102 S County Rd D, Afton, Wisconsin 53501
Office Hours: The Planning and Zoning Committee meet the last Monday of the month at 6:30 p.m. at Rock Town Hall, 5102 S. County Road D, Afton, WI
Services: (1) The Town Board or other public body having authority thereon, shall refer to the Planning & Zoning Committee, for its consideration and report before final action is taken by the Town Board or public body, the following matters: the location and architectural design of any public building; the location of any statue or other memorial; the location, acceptance, extension, alteration, vacation, abandonment, change of use, sale, acquisition, or lease of land for any street, alley or other public way, park, playground, airport, area for parking facilities, or other memorial or public grounds; the location, extension, abandonment or authorization for any public utility whether public or privately owned; all plats of land in the township; the location, character and extent, or acquisition, leasing or sale of lands for public or semi-public housing, slum clearance, relief of congestion, or vacation camps for children; and the abandonment or repeal of any ordinance adopted pursuant to planning and zoning. Unless such report is made within 45 days or such longer period as may be stipulated by the Town Board, the board or other public body may take final action without it.
Duties: The Planning & Zoning Committee shall have the following powers:
A) Building and Conditional Use Permits. To issue building permits when there is a question raised by the Building Inspector as to the literal requirements of this Ordinance and to issue conditional use permits when within the provisions of this Ordinance.
(B) Subdivisions. To review and recommend to the Town Board the approval or denial of preliminary and final subdivisions. Conditions of approval may be attached to preliminary or final approval.
(C) Substitutions. To hear and grant applications for substitution of more restrictive nonconforming uses for existing nonconforming uses, provided no structural alterations are to be made. Whenever the Committee permits such a substitution, the use may not thereafter be changed without the approval of the Committee.
(D) Unclassified Uses. To hear and grant applications for unclassified and unspecified uses, provided that such uses are similar in character to the principal uses permitted in the district.
(E) Temporary Uses. To hear and grant applications for temporary uses in any district, provided that such uses are of a temporary nature, do not involve the erection of a substantial structure, and are compatible with the neighboring uses. The permit shall be temporary, revocable, subject to any conditions required by the Planning & Zoning Committee and shall be issued for a period not to exceed twelve (12) months. Compliance with all other provisions of this Ordinance shall be required.
Town Hall/Park Rental
Address: 5102 S County Rd D, Afton, Wisconsin 53501
Public Information:
Town Hall Rent:
The Rock Town Hall is available to rent. A security deposit will be required at the time of booking. Cost is based on the size of the event as follows:
Resident Non-resident
Up to 50 people $100.00 $200.00
50-100 people $200.00 $350.00
Over 100 people $300.00 $500.00
Please contact Courtney for more information.
Zoning Officer - Tony Dubanowich
Address: RETURN PERMITS TO: 4833 Greenfield, Janesville, Wisconsin 53548
Phone Number: 608-931-2172
Services: You may print a copy of the zoning application online, by clicking here.
Public Information: To obtain a copy of the zoning application, click on resources, then under applications will be the zoning application.
Zoning Violations - David Diestler
Address: 5832 N Glenmoor Lane, Janesville, Wisconsin 53546
Phone Number: 608-752-3200